Turning powerlessness into proactivity: Masami takes on the Climb for Alzheimer’s challenge
Powerlessness, guilt, frustration – these past few months have heightened the many emotional challenges that long-distance caregivers experience. This sense of powerlessness is something that Masami Yakata has felt acutely while living and working in Langley, B.C., thousands of kilometres away from her birthplace of Kyoto, Japan, where her mother Masako is living with dementia.

“It hasn’t affected my everyday routine, but emotionally I’m feeling helpless,” she explains. “I’ve not been able to visit home to get things organized and help my family since COVID-19.”
-- What comes next are materials data, not part of the text --
........
Computed powder diffraction line list of Li2VSi6O15 for copper Kα, from a DFT-relaxed cell (GGA+U, Alexandria).

Cell and atoms:
a b c (Å): 7.9815 14.7051 10.0608
angles (deg): 90.00 90.00 90.00
Space group Imma (No. 74)
Asymmetric unit:
Li  0.2500  0.0037  0.2500
V  0.0000  0.0000  0.0000
Si  0.0000  0.1482  0.2728
Si  0.1866  0.1454  0.5339
O  0.0000  0.0674  0.1664
O  0.0000  0.1249  0.5991
O  0.0000  0.2500  0.2088
O  0.1640  0.1345  0.3709
O  0.1787  0.0719  0.9133
O  0.2418  0.2500  0.5675

Principal peaks in the range 2θ from 10° to 90°, in order of rising 2θ:
- 2θ = 10.65°, d = 8.303 Å, rel. 555, hkl 0 1 1
- 2θ = 17.63°, d = 5.030 Å, rel. 497, hkl 0 0 2
- 2θ = 18.63°, d = 4.763 Å, rel. 1000, hkl 1 2 1
- 2θ = 24.21°, d = 3.676 Å, rel. 396, hkl 0 4 0
- 2θ = 24.75°, d = 3.597 Å, rel. 377, hkl 2 1 1
- 2θ = 27.28°, d = 3.270 Å, rel. 587, hkl 0 1 3
- 2θ = 28.16°, d = 3.169 Å, rel. 821, hkl 1 4 1
- 2θ = 28.55°, d = 3.126 Å, rel. 335, hkl 2 0 2
- 2θ = 31.08°, d = 2.877 Å, rel. 366, hkl 2 2 2
- 2θ = 37.77°, d = 2.382 Å, rel. 292, hkl 2 4 2

~~~~~

The following is a theoretical powder X-ray diffraction pattern of La5Bi4N. It was derived from a cell relaxed with PBE, using Cu Kα X-rays.
Peak positions follow from Bragg's law for the DFT cell and can differ from measured ones.

The 10 most intense peaks (10° ≤ 2θ ≤ 90°), in order of rising 2θ:
| d/Å | I_rel |
| --- | --- |
| 3.722 | 130 |
| 3.310 | 530 |
| 3.182 | 1000 |
| 2.994 | 187 |
| 2.572 | 143 |
| 2.294 | 780 |
| 2.250 | 322 |
| 1.861 | 333 |
| 1.468 | 172 |
| 1.307 | 142 |

Crystal structure
a b c (Å): 7.847 7.847 7.847
angles (deg): 100.25 100.25 130.11
Sites, in units of the cell vectors:
La1 0.000 0.000 0.000
La2 0.154 0.324 0.643
La3 0.324 0.681 0.170
La4 0.511 0.154 0.830
La5 0.681 0.511 0.357
Bi1 0.000 0.606 0.780
Bi2 0.220 0.000 0.394
Bi3 0.606 0.826 0.606
Bi4 0.826 0.220 0.220
N1 0.344 0.344 0.000

~~~~~

This entry pairs a crystal structure of SrMgMnO3 with its simulated powder XRD pattern. Radiation: CuKα. Structure: a GGA+U-relaxed structure.
Neutral-atom scattering factors, no anomalous dispersion.

Largest 10 diffraction maxima, low angle first, 10° ≤ 2θ ≤ 90°:
- d 3.365, 26.5°, intensity 945, hkl 1 0 1
- d 3.186, 28.0°, intensity 1000, hkl 0 0 2
- d 2.802, 31.9°, intensity 667, hkl 1 1 0
- d 2.104, 43.0°, intensity 582, hkl 1 1 2
- d 1.982, 45.8°, intensity 471, hkl 2 0 0
- d 1.872, 48.6°, intensity 180, hkl 1 0 3
- d 1.708, 53.7°, intensity 268, hkl 2 1 1
- d 1.683, 54.5°, intensity 532, hkl 2 0 2
- d 1.283, 73.9°, intensity 197, hkl 2 2 2
- d 1.242, 76.8°, intensity 175, hkl 2 0 4

Cell and atoms:
```
6
Lattice="3.9631 0.0000 0.0000 0.0000 3.9631 0.0000 0.0000 0.0000 6.3724" Properties=species:S:1:pos:R:3 pbc="T T T"
Sr 0.0000 0.0000 0.0000
Mg 0.0000 0.0000 3.1862
Mn 1.9815 1.9815 3.1862
O 0.0000 1.9815 3.1862
O 1.9815 0.0000 3.1862
O 1.9815 1.9815 0.0000
```
........
-- So much for the materials data --
Dementia has been present in Masami’s life since childhood, with both of her grandmothers having lived with the disease. She describes witnessing the mental and physical decline of her grandmothers as a very hard experience but something that she understands, unfortunately, many families go through.

Drawing from the positives of the experience, she reflects, “I’m very thankful that my parents let me have those moments with my grandmothers and learn how dementia could be a part of our life someday."
**Someone pasted records of crystals at this point**
<<<
(1)
Structure and theoretical X-ray diffraction stick pattern of Na5NdHg6 (a cell relaxed with GGA-PBE; a wavelength of 1.5418 Å).

Atomic structure:
a b c (Å): 5.3777 7.4366 8.1732
angles (deg): 90.00 106.02 90.00
Fractional positions:
Na 0.0000 0.0000 0.0000
Na 0.3613 0.5000 0.6563
Na 0.3799 0.0000 0.6748
Na 0.6201 0.0000 0.3252
Na 0.6387 0.5000 0.3437
Nd 0.0000 0.5000 0.0000
Hg 0.1161 0.2406 0.3324
Hg 0.1161 0.7594 0.3324
Hg 0.5000 0.2623 0.0000
Hg 0.5000 0.7377 0.0000
Hg 0.8839 0.2406 0.6676
Hg 0.8839 0.7594 0.6676

Principal peaks in the range 5° ≤ 2θ ≤ 70°, low angle first:
3.857 Å, rel. 498
3.718 Å, rel. 486
3.650 Å, rel. 441
2.685 Å, rel. 429
2.677 Å, rel. 1000
2.619 Å, rel. 507
2.605 Å, rel. 936
2.141 Å, rel. 231

---

(2)
Structure and theoretical X-ray diffraction stick pattern of NaNd2Hg6 (a cell relaxed with GGA-PBE; a wavelength of 1.5418 Å).

Atomic structure:
a b c (Å): 7.3470 7.3470 4.8187
angles (deg): 90.00 90.00 115.98
Fractional positions:
Na 0.0000 0.0000 0.0000
Nd 0.2273 0.7727 0.5000
Nd 0.7727 0.2273 0.5000
Hg 0.1740 0.4502 0.0000
Hg 0.2605 0.2605 0.5000
Hg 0.4502 0.1740 0.0000
Hg 0.5498 0.8260 0.0000
Hg 0.7395 0.7395 0.5000
Hg 0.8260 0.5498 0.0000

Principal peaks in the range 5° ≤ 2θ ≤ 70°, low angle first:
3.894 Å, rel. 404
3.302 Å, rel. 301
2.917 Å, rel. 264
2.724 Å, rel. 738
2.616 Å, rel. 1000
2.409 Å, rel. 482
2.172 Å, rel. 324
1.947 Å, rel. 195

---

(3)
Structure and theoretical X-ray diffraction stick pattern of NaNdHgSb (a cell relaxed with GGA-PBE; a wavelength of 1.5418 Å).

Atomic structure:
a b c (Å): 7.6070 7.6070 7.6070
angles (deg): 90.00 90.00 90.00
Fractional positions:
Na 0.0000 0.0000 0.0000
Na 0.0000 0.5000 0.5000
Na 0.5000 0.0000 0.5000
Na 0.5000 0.5000 0.0000
Nd 0.0000 0.0000 0.5000
Nd 0.0000 0.5000 0.0000
Nd 0.5000 0.0000 0.0000
Nd 0.5000 0.5000 0.5000
Hg 0.2500 0.2500 0.2500
Hg 0.2500 0.7500 0.7500
Hg 0.7500 0.2500 0.7500
Hg 0.7500 0.7500 0.2500
Sb 0.2500 0.2500 0.7500
Sb 0.2500 0.7500 0.2500
Sb 0.7500 0.2500 0.2500
Sb 0.7500 0.7500 0.7500

Principal peaks in the range 5° ≤ 2θ ≤ 70°, low angle first:
4.392 Å, rel. 193
3.804 Å, rel. 115
2.689 Å, rel. 1000
2.294 Å, rel. 111
1.902 Å, rel. 182
1.701 Å, rel. 51
1.553 Å, rel. 376
1.345 Å, rel. 116

---

(4)
Structure and theoretical X-ray diffraction stick pattern of Na3Np3HgSe8 (a cell relaxed with GGA-PBE; a wavelength of 1.5418 Å).

Atomic structure:
a b c (Å): 8.2641 8.2641 8.4678
angles (deg): 119.20 119.20 60.00
Fractional positions:
Na 0.0000 0.0000 0.0000
Na 0.0000 0.5000 0.0000
Na 0.5000 0.0000 0.0000
Np 0.0000 0.5000 0.5000
Np 0.5000 0.0000 0.5000
Np 0.5000 0.5000 0.5000
Hg 0.0000 0.0000 0.5000
Se 0.2483 0.7323 0.7290
Se 0.2498 0.2498 0.7299
Se 0.2562 0.2562 0.2687
Se 0.2677 0.7517 0.2710
Se 0.7323 0.2483 0.7290
Se 0.7438 0.7438 0.7313
Se 0.7502 0.7502 0.2701
Se 0.7517 0.2677 0.2710

Principal peaks in the range 5° ≤ 2θ ≤ 70°, low angle first:
6.996 Å, rel. 786
3.527 Å, rel. 381
2.956 Å, rel. 1000
2.298 Å, rel. 199
2.116 Å, rel. 377
>>>
This understanding of the disease helped Masami to recognize and accept her mother’s own dementia many years later, although it has not made it any easier. With the pandemic, she is unable to visit her family, which has heightened many of these emotions. “Every time I see my brother posting their struggles from Japan, I feel sick to my stomach not being there physically.”
Feeling frustrated that she was unable to be with her family and provide help in person, Masami was keen to make a difference in some way. The opportunity struck her one day while on Facebook, when a friend who experienced a similar journey with their mother announced they were taking part in the Alzheimer Society of B.C.’s fundraising event, the Climb for Alzheimer’s. She seized the opportunity and registered for the event straight away.
This year’s Climb for Alzheimer’s is taking place in a virtual capacity, where participants can take part from anywhere around the province as they set themselves their own hiking challenge. Masami set herself the goal to walk or jog 300 kilometres by September 21 - World Alzheimer’s Day. Since sharing her story on her fundraising page, her friends and family have been overwhelmingly supportive. Masami’s original fundraising goal of $150 was reached in just one week, and after setting herself a new target of $700, she once again achieved that goal too – with a month still to go!
“I’ve been overwhelmed with gratitude,” she says, “This disease has hit close to home for so many of us.”
For thousands of families in British Columbia, dementia is an uphill journey – and no one should have to do it alone. The Alzheimer Society of B.C. is there for people on every step of their dementia journey, and it’s people like Masami who are helping to make that happen.
When asked if she has any words of encouragement to others taking on the Climb challenge this summer, she says, “We are all in this together. We’ve got this!”
Thank you to Masami for her amazing fundraising efforts! You can donate to Masami’s fundraising page or join her in taking part in this year’s Climb for Alzheimer’s by visiting climbforalzheimers.ca. Now until September 21, committed supporters, friends and family across British Columbia are hiking a collective 70,000 kilometres to show that people don’t need to make the dementia journey alone. Who will you climb for? Register and fundraise today.